Zhu, J. Julius
Primary Appointment
Professor, Pharmacology
- BS, Physiology & Biophysics, Peking University
- MS, Neurobiology & Behavior, Shanghai Brain Research Institute
- PhD, Neuroscience, University of Wisconsin Medical School
- Postdoc, Neuroscience, Max-Planck-Institut for Medical Research
- Postdoc, Neuroscience, Cold Spring Harbor Laboratory
- Sabbatical, Neuroscience, Norwegian University of Science & Technology
Contact Information
PO Box 800735
1340 Jefferson Park Ave., Pinn Hall, Room 5025C
Charlottesville, VA 22908
Telephone: 434-243-9246
Fax: 434-982-3878
Email: jjzhu@virginia.edu
Website: https://www.ncbi.nlm.nih.gov/myncbi/j.%20julius.zhu.1/bibliography/public
Research Disciplines
Biotechnology, Molecular Biology, Molecular Pharmacology, Neuroscience, Translational Science
Research Interests
Neural Circuits in Healthy and Diseased Brains
Research Description
My students and I are interested in central neural circuits and synapses. We enjoy developing new experimental approaches that combine cutting-edge techniques, including rapid recombinant DNA delivery and replacement, multiple whole-cell recordings, genetically encoded sensors, single- and two-photon microscopy-based optogenetics and imaging, single-molecule force spectroscopy and immunoelectron microscopy. These technologies allow us to decipher the molecular and cellular regulations (e.g., nanoscale Ras/MAPK signaling) of synapses in neural circuits, as well as the organization and functions (e.g., salience selection) of neural circuits (Wang G, Wyskiel D, et al. (2015) Nature Protocols 10:397-412). Genetic defects of many signaling molecules are linked to a number of cognitive disorders, e.g., Akt/PKB and calcineurin with schizophrenia, BRaf with cardio-facio-cutaneous syndrome, Brag/IQSec with nonsyndromic X-linked mental retardation, CaMKII with Angelman syndrome, H-Ras with Costello syndrome, p38MAPK and JNK with Alzheimer's disease, PI3K with fragile X syndrome, PTEN with autism, Cowden and Bannayan-Riley-Ruvalcaba syndromes, RasGap NF1 with neurofibromatosis, Rsk with Coffin-Lowry syndrome and X-linked mental retardation, SHP-2 with Noonan syndrome, and tuberin with tuberous sclerosis. Altered interneuronal function is a common mechanism contributing to various neurological, mental and psychiatric disorders, including autisms, epilepsy, depression, Huntington’s disease, neurofibromatosis, schizophrenia, Tourette’s syndrome and trauma (Stornetta and Zhu, Neuroscientist 17: 54-78). Therefore, the findings from our research should guide the future development of treatments for these insidious diseases.
Selected Publications First-authored by Undergraduate/High School Students:
Zhu PK, Zheng WS, Zhang P, Jing M, Borden PM, Ali F, Guo K-M, Feng J, Marvin JS, Wang Y, Wan J, Gan J, Kwan AC, Lin L, Looger LL, Li Y and Zhang Y (2020) Nanoscopic visualization of restricted non-volume cholinergic and monoaminergic transmissions. Nano Letters 20:4073-83.
Sheng Y, Zhang L, Su S, Tsai LH and Zhu JJ (2016) Cdk5 is a new rapid homeostatic transmission regulator capable of inducing the early Alzheimer-like synaptic pathology. Cerebral Cortex 26:2937-51.
Lee AJ, Wang G, Jiang X, Johnson SM, Hoang ET, Lante F, Stornetta RL, Beenhakker MP, Shen Y and Zhu JJ (2015) Canonical organization of layer 1 neuron-led cortical inhibitory and disinhibitory interneuronal circuits. Cerebral Cortex 25:2114-26.
Selected Publications First-authored by Graduate Students:
Huang L, Chen Y, Jin S, Lin L, Duan S, Si K, Gong W and Zhu JJ (2021) Organizational principles of amygdalar input-output neuronal circuits. Molecular Psychiatry ePub ahead of print.
== Attached: crystal structures ==
The following is a PBE with a Hubbard U calculation of a relaxed LiMn10O20 crystal, from Materials Project.

```
62
Lattice="-1.2054 5.7568 8.2672 -4.5016 0.1821 -9.0908 -3.6507 -8.7893 3.5160" Properties=species:S:1:pos:R:3 pbc="T T T"
Li -5.5029 -2.8189 -2.9933
Li 0.0000 0.0000 0.0000
Mn -3.9920 1.4091 6.7334
Mn -4.0828 -4.4505 6.6406
Mn -4.0438 -1.5021 6.6824
Mn -7.4303 -2.8346 -0.1504
Mn -4.5470 -2.8772 0.3195
Mn -3.8424 0.1094 -3.7414
Mn -2.2539 -0.0302 4.8928
Mn -5.8120 -2.9741 8.4704
Mn -6.2432 1.5176 2.1662
Mn -6.3152 -4.3492 2.1076
Mn -2.7515 -1.4094 -1.4967
Mn -2.7163 1.5288 -1.4595
Mn -6.2762 -1.4008 2.1494
Mn -5.1295 -0.0028 4.4343
Mn -1.6605 -2.9283 0.7481
Mn -5.2295 -5.8485 4.3556
Mn -4.4545 2.9681 0.3811
Mn -6.8276 -5.7130 -4.2841
Mn -5.0023 -1.3184 -6.0421
Mn -4.9667 1.6024 -5.9831
O -3.6987 1.2671 4.8070
O -2.7252 -0.0641 6.7837
O -5.2678 -0.0222 6.3830
O -4.0946 -2.8717 -1.6075
O -5.3432 -2.9566 6.5876
O -7.2826 -2.8115 -2.1334
O -3.0947 -4.1846 0.3874
O -4.3738 -4.2765 8.5637
O -4.3410 -1.7110 8.5975
O -3.0575 -1.6187 0.4217
O -5.2655 1.4080 -4.0757
O -5.9852 -1.5749 0.2263
O -6.0589 -7.4236 0.1353
O -6.0180 -4.1403 0.1924
O -3.6509 4.5566 4.8523
O -5.0158 -2.8947 2.2023
O -1.4083 0.0528 -1.3859
O -1.7665 -2.9468 2.6979
O -3.9761 0.0816 -1.8032
O -7.5781 -2.8578 1.8325
O -5.0121 0.0324 2.4855
O -2.7322 2.8563 7.0771
O -3.9832 3.0020 -1.5098
O -5.0912 -5.8291 2.4069
O -7.5478 0.0665 2.0907
O -6.6314 -4.5445 4.0208
O -3.0096 1.6708 0.4669
O -5.3299 -4.4116 -4.1510
O -6.5762 -1.2555 4.0636
O -5.9055 4.3008 0.2645
O -3.8237 -7.1966 4.6737
O -5.9445 1.7120 0.2588
O -3.7828 -4.5958 4.7263
O -3.7276 -1.3068 4.7691
O -4.9385 2.9537 2.2693
O -1.6962 2.9055 2.7884
O -7.3129 -5.7357 -2.3916
O -3.7364 0.1279 -5.6912
O -1.7698 -0.0158 3.0047
O -5.3045 -1.1808 -4.0814
```

Results
Its formation energy is -1830 meV per atom. As for the final energy: -7.06 eV/atom.

***

The following is a PBE with a Hubbard U calculation of a relaxed MgV3CoSn2P6O24 crystal, from Materials Project.

```
37
Lattice="-1.2608 3.0437 9.1630 7.0829 0.8611 4.6256 2.9372 7.7395 1.7711" Properties=species:S:1:pos:R:3 pbc="T T T"
Mg 3.6059 5.9188 9.0499
V 6.6151 5.7690 4.3950
V 7.8873 8.6653 9.6475
V 2.0704 5.9258 11.2737
Co 0.9252 2.8984 5.7834
Sn -0.8376 3.0312 8.5611
Sn 4.9651 5.7497 6.8098
P 2.9456 5.1169 4.4696
P 7.1885 3.5066 7.2655
P 6.2557 8.6772 6.5729
P 2.4566 2.9693 9.1298
P 1.4676 8.1363 8.4018
P 5.7056 6.5465 11.2349
O 1.4834 2.3412 2.0051
O 3.8729 1.8122 3.6693
O 3.0540 4.5616 3.0279
O 2.1325 6.3940 4.4734
O 2.5692 4.1214 5.5672
O 4.4943 5.5289 4.8127
O 6.3315 2.2590 7.2605
O 6.5321 4.5549 6.1934
O 3.7807 2.5210 8.5538
O 6.2279 7.1606 5.9314
O 1.3084 2.8756 8.0895
O 1.4458 7.6080 6.9845
O 7.2078 4.2642 8.5915
O 7.2022 8.6454 7.7538
O 2.5658 4.4128 9.6948
O 4.7973 8.9238 6.9765
O 2.1061 7.0861 9.3539
O 2.2190 9.4926 8.5208
O 4.2328 6.2094 10.8545
O 6.3185 7.3989 10.1420
O 6.5223 5.2539 11.4819
O 5.5914 7.2305 12.6515
O 4.8715 9.8664 12.1399
== The crystal structures stop here ==
Chen J, Cho KE, Skwarzynska D, Clancy S, Conley NJ, Clinton SM, Li X, Lin L and Zhu JJ (2021) The property-based practical applications and solutions of genetically encoded acetylcholine and monoamine sensors. Journal of Neuroscience 41:2318-28.
Kielland A, Bochorishvili G, Corson J, Zhang L, Rosin DL, Heggelund P and Zhu JJ (2009) Activity patterns govern synapse-specific AMPA-R trafficking between deliverable and synaptic pools. Neuron 62:84-101.
McCormack SG, Stornetta RL and Zhu JJ (2006) Synaptic AMPA receptor exchange maintains bidirectional plasticity. Neuron 50:75-88.
Selected Publications Authored by PI:
Zhu JJ (2009) Activity level-dependent synapse-specific AMPA receptor trafficking regulates transmission kinetics. J Neurosci 29:6320-35.
Zhu JJ (2000) Maturation of layer 5 neocortical pyramidal neurons: amplifying salient layer 1 and layer 4 inputs by Ca2+ action potentials in adult rat tuft dendrites. J Physiol (Lond) 526:571-87.
On April 25, 2017, the lab was featured in NBC29 nightly news (http://www.nbc29.com/story/35237995/uva-new-technique-will-help-in-search-for-new-cancer-treatments) and other media outlets.
On September 12, 2017, the lab was featured in CBS19 nightly news (http://www.newsplex.com/content/news/UVA-researchers-develop-new-molecule-measuring-technique-444053003.html) and other media outlets.
On July 5, 2018, the lab was featured in CBS19 nightly news (http://www.cbs19news.com/content/news/UVA-develops-technology-to-create-medicine-without-side-effects-487456651.html), on WINA News Radio 98.9FM and other media outlets.
On August 23, 2018, the lab was featured in NBC29 nightly news (http://www.nbc29.com/story/38946736/uva-health-system-new-technique-lets-us-see-brain-cells-talk), on WCVE Community Idea Stations and other media outlets.
On March 10, 2021, the lab was featured in NBC29 nightly news (https://www.nbc29.com/video/2021/03/10/new-sensor-technology-out-uva-can-target-issues-both-diseased-healthy-brains/), on WINA News Radio 98.9FM and other media outlets.
Postdoctoral research associate, graduate and undergraduate student position available, please contact: jjzhu@virginia.edu